Request
Retype the whole of the entries underneath with every line break kept, please.

Data
-- begin --
Entry 1:
# Ta6TiC3S6, relaxed, DFT GGA-PBE
# Total energy after the MP2020 corrections   -9.370 eV per atom
# Symmetry   C2/m, No. 12
# DFT formation energy   -1.148 eV/atom
# E   -9.18 eV per atom
data_Ta6TiC3S6
_chemical_formula_sum 'Ta6 Ti1 C3 S6'
_cell_length_a 5.738
_cell_length_b 5.738
_cell_length_c 8.861
_cell_angle_alpha 96.21
_cell_angle_beta 96.21
_cell_angle_gamma 120.00
_symmetry_space_group_name_H-M 'P 1'
_symmetry_Int_Tables_number 1
loop_
_symmetry_equiv_pos_as_xyz
'x,y,z'
loop_
_atom_site_label
_atom_site_fract_x
_atom_site_fract_y
_atom_site_fract_z
_atom_site_occupancy
Ta1 0.122 0.122 0.368 1
Ta2 0.211 0.544 0.633 1
Ta3 0.456 0.789 0.367 1
Ta4 0.544 0.211 0.633 1
Ta5 0.789 0.456 0.367 1
Ta6 0.878 0.878 0.632 1
Ti1 0.000 0.000 0.000 1
C1 0.168 0.832 0.500 1
C2 0.500 0.500 0.500 1
C3 0.832 0.168 0.500 1
S1 0.058 0.394 0.174 1
S2 0.278 0.278 0.827 1
S3 0.394 0.058 0.174 1
S4 0.606 0.942 0.826 1
S5 0.722 0.722 0.173 1
S6 0.942 0.606 0.826 1

=====

Entry 2:
# Cu6Hg3Sb4S12, relaxed, DFT GGA-PBE
# Total energy after the MP2020 corrections   -4.119 eV per atom
# Symmetry   R3, No. 146
# DFT formation energy   -0.453 eV/atom
# E   -3.88 eV per atom
data_Cu6Hg3Sb4S12
_chemical_formula_sum 'Cu6 Hg3 Sb4 S12'
_cell_length_a 8.785
_cell_length_b 8.785
_cell_length_c 8.785
_cell_angle_alpha 107.51
_cell_angle_beta 107.51
_cell_angle_gamma 107.51
_symmetry_space_group_name_H-M 'P 1'
_symmetry_Int_Tables_number 1
loop_
_symmetry_equiv_pos_as_xyz
'x,y,z'
loop_
_atom_site_label
_atom_site_fract_x
_atom_site_fract_y
_atom_site_fract_z
_atom_site_occupancy
Cu1 0.033 0.410 0.557 1
Cu2 0.410 0.557 0.033 1
Cu3 0.515 0.784 0.728 1
Cu4 0.557 0.033 0.410 1
Cu5 0.728 0.515 0.784 1
Cu6 0.784 0.728 0.515 1
Hg1 0.115 0.645 0.255 1
Hg2 0.255 0.115 0.645 1
Hg3 0.645 0.255 0.115 1
Sb1 0.159 0.876 0.946 1
Sb2 0.310 0.310 0.310 1
Sb3 0.876 0.946 0.159 1
Sb4 0.946 0.159 0.876 1
S1 0.154 0.341 0.787 1
S2 0.258 0.549 0.493 1
S3 0.341 0.787 0.154 1
S4 0.387 0.969 0.835 1
S5 0.493 0.258 0.549 1
S6 0.549 0.493 0.258 1
S7 0.610 0.676 0.928 1
S8 0.676 0.928 0.610 1
S9 0.787 0.154 0.341 1
S10 0.835 0.387 0.969 1
S11 0.928 0.610 0.676 1
S12 0.969 0.835 0.387 1

=====

Entry 3:
# Na2Al2In2SiS5O24, relaxed, DFT GGA-PBE
# Total energy after the MP2020 corrections   -6.688 eV per atom
# Symmetry   P1, No. 1
# DFT formation energy   -2.230 eV/atom
# E   -6.23 eV per atom
data_Na2Al2In2SiS5O24
_chemical_formula_sum 'Na6 Al6 In6 Si3 S15 O72'
_cell_length_a 8.640
_cell_length_b 8.642
_cell_length_c 22.685
_cell_angle_alpha 89.34
_cell_angle_beta 89.58
_cell_angle_gamma 60.23
_symmetry_space_group_name_H-M 'P 1'
_symmetry_Int_Tables_number 1
loop_
_symmetry_equiv_pos_as_xyz
'x,y,z'
loop_
_atom_site_label
_atom_site_fract_x
_atom_site_fract_y
_atom_site_fract_z
_atom_site_occupancy
Na1 0.000 0.000 0.000 1
Na2 0.010 0.986 0.502 1
Na3 0.338 0.304 0.330 1
Na4 0.387 0.299 0.833 1
Na5 0.648 0.673 0.176 1
Na6 0.679 0.660 0.669 1
Al1 0.000 0.985 0.657 1
Al2 0.014 0.991 0.347 1
Al3 0.343 0.303 0.189 1
Al4 0.344 0.318 0.483 1
Al5 0.670 0.659 0.319 1
Al6 0.677 0.654 0.516 1
In1 0.023 0.985 0.159 1
In2 0.352 0.315 0.683 1
In3 0.357 0.316 0.982 1
In4 0.674 0.648 0.023 1
In5 0.677 0.655 0.813 1
In6 0.987 0.998 0.854 1
Si1 0.314 0.984 0.257 1
Si2 0.680 0.359 0.920 1
Si3 0.716 0.980 0.746 1
S1 0.006 0.692 0.259 1
S2 0.008 0.273 0.743 1
S3 0.047 0.610 0.577 1
S4 0.054 0.324 0.091 1
S5 0.292 0.703 0.746 1
S6 0.341 0.602 0.095 1
S7 0.347 0.017 0.577 1
S8 0.375 0.950 0.920 1
S9 0.389 0.648 0.420 1
S10 0.638 0.024 0.093 1
S11 0.639 0.327 0.577 1
S12 0.677 0.943 0.419 1
S13 0.714 0.286 0.259 1
S14 0.963 0.367 0.420 1
S15 0.975 0.652 0.922 1
O1 0.012 0.169 0.690 1
O2 0.025 0.169 0.092 1
O3 0.025 0.792 0.920 1
O4 0.031 0.788 0.310 1
O5 0.036 0.785 0.582 1
O6 0.043 0.172 0.799 1
O7 0.115 0.502 0.632 1
O8 0.138 0.476 0.925 1
O9 0.146 0.345 0.427 1
O10 0.151 0.310 0.036 1
O11 0.152 0.317 0.738 1
O12 0.155 0.322 0.144 1
O13 0.167 0.514 0.526 1
O14 0.173 0.522 0.251 1
-- stop --

Reply
Entry 1:
# Ta6TiC3S6, relaxed, DFT GGA-PBE
# Total energy after the MP2020 corrections   -9.370 eV per atom
# Symmetry   C2/m, No. 12
# DFT formation energy   -1.148 eV/atom
# E   -9.18 eV per atom
data_Ta6TiC3S6
_chemical_formula_sum 'Ta6 Ti1 C3 S6'
_cell_length_a 5.738
_cell_length_b 5.738
_cell_length_c 8.861
_cell_angle_alpha 96.21
_cell_angle_beta 96.21
_cell_angle_gamma 120.00
_symmetry_space_group_name_H-M 'P 1'
_symmetry_Int_Tables_number 1
loop_
_symmetry_equiv_pos_as_xyz
'x,y,z'
loop_
_atom_site_label
_atom_site_fract_x
_atom_site_fract_y
_atom_site_fract_z
_atom_site_occupancy
Ta1 0.122 0.122 0.368 1
Ta2 0.211 0.544 0.633 1
Ta3 0.456 0.789 0.367 1
Ta4 0.544 0.211 0.633 1
Ta5 0.789 0.456 0.367 1
Ta6 0.878 0.878 0.632 1
Ti1 0.000 0.000 0.000 1
C1 0.168 0.832 0.500 1
C2 0.500 0.500 0.500 1
C3 0.832 0.168 0.500 1
S1 0.058 0.394 0.174 1
S2 0.278 0.278 0.827 1
S3 0.394 0.058 0.174 1
S4 0.606 0.942 0.826 1
S5 0.722 0.722 0.173 1
S6 0.942 0.606 0.826 1

=====

Entry 2:
# Cu6Hg3Sb4S12, relaxed, DFT GGA-PBE
# Total energy after the MP2020 corrections   -4.119 eV per atom
# Symmetry   R3, No. 146
# DFT formation energy   -0.453 eV/atom
# E   -3.88 eV per atom
data_Cu6Hg3Sb4S12
_chemical_formula_sum 'Cu6 Hg3 Sb4 S12'
_cell_length_a 8.785
_cell_length_b 8.785
_cell_length_c 8.785
_cell_angle_alpha 107.51
_cell_angle_beta 107.51
_cell_angle_gamma 107.51
_symmetry_space_group_name_H-M 'P 1'
_symmetry_Int_Tables_number 1
loop_
_symmetry_equiv_pos_as_xyz
'x,y,z'
loop_
_atom_site_label
_atom_site_fract_x
_atom_site_fract_y
_atom_site_fract_z
_atom_site_occupancy
Cu1 0.033 0.410 0.557 1
Cu2 0.410 0.557 0.033 1
Cu3 0.515 0.784 0.728 1
Cu4 0.557 0.033 0.410 1
Cu5 0.728 0.515 0.784 1
Cu6 0.784 0.728 0.515 1
Hg1 0.115 0.645 0.255 1
Hg2 0.255 0.115 0.645 1
Hg3 0.645 0.255 0.115 1
Sb1 0.159 0.876 0.946 1
Sb2 0.310 0.310 0.310 1
Sb3 0.876 0.946 0.159 1
Sb4 0.946 0.159 0.876 1
S1 0.154 0.341 0.787 1
S2 0.258 0.549 0.493 1
S3 0.341 0.787 0.154 1
S4 0.387 0.969 0.835 1
S5 0.493 0.258 0.549 1
S6 0.549 0.493 0.258 1
S7 0.610 0.676 0.928 1
S8 0.676 0.928 0.610 1
S9 0.787 0.154 0.341 1
S10 0.835 0.387 0.969 1
S11 0.928 0.610 0.676 1
S12 0.969 0.835 0.387 1

=====

Entry 3:
# Na2Al2In2SiS5O24, relaxed, DFT GGA-PBE
# Total energy after the MP2020 corrections   -6.688 eV per atom
# Symmetry   P1, No. 1
# DFT formation energy   -2.230 eV/atom
# E   -6.23 eV per atom
data_Na2Al2In2SiS5O24
_chemical_formula_sum 'Na6 Al6 In6 Si3 S15 O72'
_cell_length_a 8.640
_cell_length_b 8.642
_cell_length_c 22.685
_cell_angle_alpha 89.34
_cell_angle_beta 89.58
_cell_angle_gamma 60.23
_symmetry_space_group_name_H-M 'P 1'
_symmetry_Int_Tables_number 1
loop_
_symmetry_equiv_pos_as_xyz
'x,y,z'
loop_
_atom_site_label
_atom_site_fract_x
_atom_site_fract_y
_atom_site_fract_z
_atom_site_occupancy
Na1 0.000 0.000 0.000 1
Na2 0.010 0.986 0.502 1
Na3 0.338 0.304 0.330 1
Na4 0.387 0.299 0.833 1
Na5 0.648 0.673 0.176 1
Na6 0.679 0.660 0.669 1
Al1 0.000 0.985 0.657 1
Al2 0.014 0.991 0.347 1
Al3 0.343 0.303 0.189 1
Al4 0.344 0.318 0.483 1
Al5 0.670 0.659 0.319 1
Al6 0.677 0.654 0.516 1
In1 0.023 0.985 0.159 1
In2 0.352 0.315 0.683 1
In3 0.357 0.316 0.982 1
In4 0.674 0.648 0.023 1
In5 0.677 0.655 0.813 1
In6 0.987 0.998 0.854 1
Si1 0.314 0.984 0.257 1
Si2 0.680 0.359 0.920 1
Si3 0.716 0.980 0.746 1
S1 0.006 0.692 0.259 1
S2 0.008 0.273 0.743 1
S3 0.047 0.610 0.577 1
S4 0.054 0.324 0.091 1
S5 0.292 0.703 0.746 1
S6 0.341 0.602 0.095 1
S7 0.347 0.017 0.577 1
S8 0.375 0.950 0.920 1
S9 0.389 0.648 0.420 1
S10 0.638 0.024 0.093 1
S11 0.639 0.327 0.577 1
S12 0.677 0.943 0.419 1
S13 0.714 0.286 0.259 1
S14 0.963 0.367 0.420 1
S15 0.975 0.652 0.922 1
O1 0.012 0.169 0.690 1
O2 0.025 0.169 0.092 1
O3 0.025 0.792 0.920 1
O4 0.031 0.788 0.310 1
O5 0.036 0.785 0.582 1
O6 0.043 0.172 0.799 1
O7 0.115 0.502 0.632 1
O8 0.138 0.476 0.925 1
O9 0.146 0.345 0.427 1
O10 0.151 0.310 0.036 1
O11 0.152 0.317 0.738 1
O12 0.155 0.322 0.144 1
O13 0.167 0.514 0.526 1
O14 0.173 0.522 0.251 1